[1]
An optimized crystal structure of CdPb2Br2, computed with PBE.

Computed properties:
ΔE to the lowest computed polymorph	0.000	eV per atom
energy relative to the elements, uncorrected	-0.307	eV per atom
SG	P4/mbm, No. 127

Unit cell a=7.9950 b=7.9950 c=5.1432 alpha=90.00 beta=90.00 gamma=90.00
With the nearest neighbours (Å) after each atom.
Atoms (fractional coordinates):
Pb (0.3461, 0.8461, 0.0000)  2 Br 3.02, 2 Cd 3.03
Pb (0.8461, 0.6539, 0.0000)  2 Br 3.02, 2 Cd 3.03
Pb (0.6539, 0.1539, 0.0000)  2 Br 3.02, 2 Cd 3.03
Pb (0.1539, 0.3461, 0.0000)  2 Br 3.02, 2 Cd 3.03
Br (0.2053, 0.7053, 0.5000)  2 Pb 3.02
Br (0.7053, 0.7947, 0.5000)  2 Pb 3.02
Br (0.7947, 0.2947, 0.5000)  2 Pb 3.02
Br (0.2947, 0.2053, 0.5000)  2 Pb 3.02
Cd (0.0000, 0.0000, 0.0000)  4 Pb 3.03
Cd (0.5000, 0.5000, 0.0000)  4 Pb 3.03



[2]
An optimized crystal structure of Tl2CrTcBi, computed with PBE.

Computed properties:
ΔE to the lowest computed polymorph	0.000	eV per atom
energy of formation from the pure elements	0.790	eV per atom
SG	P4/mmm, No. 123

Unit cell a=5.3640 b=4.6951 c=5.3640 alpha=90.00 beta=90.00 gamma=90.00
With the nearest neighbours (Å) after each atom.
Atoms (fractional coordinates):
Cr (0.0000, 0.5000, 0.0000)  2 Tc 2.35
Tl (0.0000, 0.0000, 0.5000)  2 Tc 2.68
Tl (0.5000, 0.0000, 0.0000)  2 Tc 2.68
Bi (0.5000, 0.5000, 0.5000)  8 Tl 3.56, 4 Cr 3.79
Tc (0.0000, 0.0000, 0.0000)  2 Cr 2.35



[3]
An optimized crystal structure of Zr2TlGa, computed with PBE.

Computed properties:
ΔE to the lowest computed polymorph	0.000	eV per atom
energy of formation from the pure elements	-0.324	eV per atom
SG	P4/mmm, No. 123

Unit cell a=3.1194 b=3.1194 c=8.6264 alpha=90.00 beta=90.00 gamma=90.00
With the nearest neighbours (Å) after each atom.
Atoms (fractional coordinates):
Tl (0.5000, 0.5000, 0.5000)  4 Tl 3.12, 8 Zr 3.25
Ga (0.5000, 0.5000, 0.0000)  8 Zr 2.92, 4 Ga 3.12
Zr (0.0000, 0.0000, 0.7773)  4 Ga 2.92, 4 Zr 3.12, 4 Tl 3.25
Zr (0.0000, 0.0000, 0.2227)  4 Ga 2.92, 4 Zr 3.12, 4 Tl 3.25



[4]
An optimized crystal structure of ZrReTe2, computed with PBE.

Computed properties:
ΔE to the lowest computed polymorph	0.547	eV per atom
energy relative to the elements, uncorrected	0.329	eV per atom
SG	Pmmm, No. 47

Unit cell a=4.1130 b=3.3418 c=6.4844 alpha=89.97 beta=90.00 gamma=90.00
With the nearest neighbours (Å) after each atom.
Atoms (fractional coordinates):
Re (0.5000, 0.7500, 0.7500)  4 Te 2.63
Te (0.0000, 0.7502, 0.0034)  2 Re 2.63
Te (0.0000, 0.7498, 0.4966)  2 Re 2.63
Zr (0.5000, 0.2500, 0.2500)  8 Te 3.09-3.10, 2 Zr 3.34



[5]
An optimized crystal structure of NbAg2B2, computed with PBE.

Computed properties:
ΔE to the lowest computed polymorph	0.000	eV per atom
energy of formation from the pure elements	0.400	eV per atom
SG	I4/mmm, No. 139

Unit cell a=3.6330 b=3.6330 c=5.5500 alpha=70.90 beta=70.90 gamma=90.00
With the nearest neighbours (Å) after each atom.
Atoms (fractional coordinates):
Nb (0.0000, 0.0000, 0.0000)  8 B 2.70
B (0.4158, 0.4158, 0.1684)  1 B 1.66
B (0.5842, 0.5842, 0.8316)  1 B 1.66
Ag (0.7500, 0.2500, 0.5000)  4 B 2.44, 4 Ag 2.57
Ag (0.2500, 0.7500, 0.5000)  4 B 2.44, 4 Ag 2.57



[6]
An optimized crystal structure of PmHo4Te5, computed with PBE.

Computed properties:
energy relative to the elements, uncorrected	-1.280	eV per atom
SG	C2/m, No. 12

Unit cell a=4.3600 b=7.5735 c=9.7370 alpha=74.91 beta=77.06 gamma=73.27
With the nearest neighbours (Å) after each atom.
Atoms (fractional coordinates):
Pm (0.0000, 0.0000, 0.0000)  6 Te 3.15-3.16
Ho (0.5979, 0.1978, 0.6064)  6 Te 3.04-3.11
Ho (0.2052, 0.3894, 0.2001)  6 Te 3.05-3.11
Ho (0.7948, 0.6106, 0.7999)  6 Te 3.05-3.11
Ho (0.4021, 0.8022, 0.3936)  6 Te 3.04-3.11
Te (0.2035, 0.9008, 0.6921)  5 Ho 3.05-3.06, 1 Pm 3.15
Te (0.7965, 0.0992, 0.3079)  5 Ho 3.05-3.06, 1 Pm 3.15
Te (0.3949, 0.3141, 0.8961)  4 Ho 3.04-3.06, 2 Pm 3.16
Te (0.0000, 0.5000, 0.5000)  6 Ho 3.11
Te (0.6051, 0.6859, 0.1039)  4 Ho 3.04-3.06, 2 Pm 3.16



[7]

Now quote the whole of the block further above verbatim.

[1]
An optimized crystal structure of CdPb2Br2, computed with PBE.

Computed properties:
ΔE to the lowest computed polymorph	0.000	eV per atom
energy relative to the elements, uncorrected	-0.307	eV per atom
SG	P4/mbm, No. 127

Unit cell a=7.9950 b=7.9950 c=5.1432 alpha=90.00 beta=90.00 gamma=90.00
With the nearest neighbours (Å) after each atom.
Atoms (fractional coordinates):
Pb (0.3461, 0.8461, 0.0000)  2 Br 3.02, 2 Cd 3.03
Pb (0.8461, 0.6539, 0.0000)  2 Br 3.02, 2 Cd 3.03
Pb (0.6539, 0.1539, 0.0000)  2 Br 3.02, 2 Cd 3.03
Pb (0.1539, 0.3461, 0.0000)  2 Br 3.02, 2 Cd 3.03
Br (0.2053, 0.7053, 0.5000)  2 Pb 3.02
Br (0.7053, 0.7947, 0.5000)  2 Pb 3.02
Br (0.7947, 0.2947, 0.5000)  2 Pb 3.02
Br (0.2947, 0.2053, 0.5000)  2 Pb 3.02
Cd (0.0000, 0.0000, 0.0000)  4 Pb 3.03
Cd (0.5000, 0.5000, 0.0000)  4 Pb 3.03



[2]
An optimized crystal structure of Tl2CrTcBi, computed with PBE.

Computed properties:
ΔE to the lowest computed polymorph	0.000	eV per atom
energy of formation from the pure elements	0.790	eV per atom
SG	P4/mmm, No. 123

Unit cell a=5.3640 b=4.6951 c=5.3640 alpha=90.00 beta=90.00 gamma=90.00
With the nearest neighbours (Å) after each atom.
Atoms (fractional coordinates):
Cr (0.0000, 0.5000, 0.0000)  2 Tc 2.35
Tl (0.0000, 0.0000, 0.5000)  2 Tc 2.68
Tl (0.5000, 0.0000, 0.0000)  2 Tc 2.68
Bi (0.5000, 0.5000, 0.5000)  8 Tl 3.56, 4 Cr 3.79
Tc (0.0000, 0.0000, 0.0000)  2 Cr 2.35



[3]
An optimized crystal structure of Zr2TlGa, computed with PBE.

Computed properties:
ΔE to the lowest computed polymorph	0.000	eV per atom
energy of formation from the pure elements	-0.324	eV per atom
SG	P4/mmm, No. 123

Unit cell a=3.1194 b=3.1194 c=8.6264 alpha=90.00 beta=90.00 gamma=90.00
With the nearest neighbours (Å) after each atom.
Atoms (fractional coordinates):
Tl (0.5000, 0.5000, 0.5000)  4 Tl 3.12, 8 Zr 3.25
Ga (0.5000, 0.5000, 0.0000)  8 Zr 2.92, 4 Ga 3.12
Zr (0.0000, 0.0000, 0.7773)  4 Ga 2.92, 4 Zr 3.12, 4 Tl 3.25
Zr (0.0000, 0.0000, 0.2227)  4 Ga 2.92, 4 Zr 3.12, 4 Tl 3.25



[4]
An optimized crystal structure of ZrReTe2, computed with PBE.

Computed properties:
ΔE to the lowest computed polymorph	0.547	eV per atom
energy relative to the elements, uncorrected	0.329	eV per atom
SG	Pmmm, No. 47

Unit cell a=4.1130 b=3.3418 c=6.4844 alpha=89.97 beta=90.00 gamma=90.00
With the nearest neighbours (Å) after each atom.
Atoms (fractional coordinates):
Re (0.5000, 0.7500, 0.7500)  4 Te 2.63
Te (0.0000, 0.7502, 0.0034)  2 Re 2.63
Te (0.0000, 0.7498, 0.4966)  2 Re 2.63
Zr (0.5000, 0.2500, 0.2500)  8 Te 3.09-3.10, 2 Zr 3.34



[5]
An optimized crystal structure of NbAg2B2, computed with PBE.

Computed properties:
ΔE to the lowest computed polymorph	0.000	eV per atom
energy of formation from the pure elements	0.400	eV per atom
SG	I4/mmm, No. 139

Unit cell a=3.6330 b=3.6330 c=5.5500 alpha=70.90 beta=70.90 gamma=90.00
With the nearest neighbours (Å) after each atom.
Atoms (fractional coordinates):
Nb (0.0000, 0.0000, 0.0000)  8 B 2.70
B (0.4158, 0.4158, 0.1684)  1 B 1.66
B (0.5842, 0.5842, 0.8316)  1 B 1.66
Ag (0.7500, 0.2500, 0.5000)  4 B 2.44, 4 Ag 2.57
Ag (0.2500, 0.7500, 0.5000)  4 B 2.44, 4 Ag 2.57



[6]
An optimized crystal structure of PmHo4Te5, computed with PBE.

Computed properties:
energy relative to the elements, uncorrected	-1.280	eV per atom
SG	C2/m, No. 12

Unit cell a=4.3600 b=7.5735 c=9.7370 alpha=74.91 beta=77.06 gamma=73.27
With the nearest neighbours (Å) after each atom.
Atoms (fractional coordinates):
Pm (0.0000, 0.0000, 0.0000)  6 Te 3.15-3.16
Ho (0.5979, 0.1978, 0.6064)  6 Te 3.04-3.11
Ho (0.2052, 0.3894, 0.2001)  6 Te 3.05-3.11
Ho (0.7948, 0.6106, 0.7999)  6 Te 3.05-3.11
Ho (0.4021, 0.8022, 0.3936)  6 Te 3.04-3.11
Te (0.2035, 0.9008, 0.6921)  5 Ho 3.05-3.06, 1 Pm 3.15
Te (0.7965, 0.0992, 0.3079)  5 Ho 3.05-3.06, 1 Pm 3.15
Te (0.3949, 0.3141, 0.8961)  4 Ho 3.04-3.06, 2 Pm 3.16
Te (0.0000, 0.5000, 0.5000)  6 Ho 3.11
Te (0.6051, 0.6859, 0.1039)  4 Ho 3.04-3.06, 2 Pm 3.16



[7]